20. A ray of HOPE.

"Do I really love him ?" Ava asked me.

"Ask yourself, what do you think ? " I said back with a smile

"I don't know ?" She said

"What do you see when you look at him ?" I asked

"I see myself. " she said

"Now ask the same question to yourself that you asked me." I said

"I still don't know." she said

"I know that you don't." I said

"So you please tell me." she pleaded

"Even, I don't know." I said

"Then who does ?" she asked

"Your heart knows the way. Run in that direction." I said

"But why should I? why not him ?" She asked

"Stop acting so small. You are the universe in ecstatic motion." I said

"Now I think I have helped you enough." I said with a smile

"NO, Wait, .... !" She said

And there, with a cloud of fragrant smoke, I vanished into nothing.

Wooo Hooo, Did you see that ....

Now, what do you guys say about my acting skills... Am I good enough to be in a movie? Yes, I know I am ... HeHe

But yeah, to all those who will say that I did wrong by lying to her ...

I didn't lie, I never lie ....

Whatever I answered was truth, and I also didn't spoil the little secret of my friend Lucifer ....

And I didn't tell her that I am some kind of spiritual power of anything like that ....

She assumed it herself, so technically, I should not be blamed of lying to Ava ....


Oh! it is 5:30, but why is Lucifer still sleeping,

Ahhh! I am not at Lucifer's house, I am at Ava's house ...

### Quantum chemistry results from another source follow
____________
{"formula": "C10H8P2", "method": "ωB97M-V/def2-TZVPD", "homo_lumo_gap_ev": [7.69, 7.75], "de_lowest_kcal_mol": 52.3, "lumo_ev": [-0.48, -0.96], "total_charge": 0, "elements": ["P", "P", "C", "C", "C", "C", "C", "C", "C", "C", "C", "C", "H", "H", "H", "H", "H", "H", "H", "H"], "positions_angstrom": [[1.318, 0.543, -1.002], [-1.089, -0.953, -0.600], [-1.824, 0.482, -1.298], [-0.509, 2.262, 1.627], [2.607, 0.807, 0.098], [-2.430, 1.429, -1.654], [0.119, 0.082, 0.396], [-3.372, -1.063, 1.345], [1.886, -2.175, -1.523], [3.445, 1.139, 0.906], [-0.334, 1.246, 1.023], [-2.353, -1.131, 0.681], [2.939, -2.060, -1.482], [-4.299, -1.024, 1.965], [4.208, 1.090, 1.669], [0.840, -0.539, 1.081], [1.404, -2.590, -0.666], [-3.086, 1.965, -2.246], [-0.970, 3.231, 1.973], [1.498, -2.741, -2.294]]}


{"formula": "C9H16IrN3O5SSe4", "method": "ωB97M-V/def2-TZVPD", "homo_lumo_gap_ev": [7.76, 5.34], "de_lowest_kcal_mol": 21.5, "spin_multiplicity": 6, "lumo_ev": [-3.29, -5.47], "total_charge": 1, "elements": ["Ir", "Se", "Se", "Se", "Se", "S", "O", "O", "O", "O", "O", "N", "N", "N", "C", "C", "C", "C", "C", "C", "C", "C", "C", "H", "H", "H", "H", "H", "H", "H", "H", "H", "H", "H", "H", "H", "H", "H", "H"], "positions_angstrom": [[1.063, -1.617, -0.402], [3.512, -0.987, -2.700], [4.787, -2.002, 0.697], [5.390, -1.538, -1.677], [4.287, -0.033, 1.521], [-0.252, -3.929, -4.122], [1.318, -3.195, 0.695], [1.411, 0.447, -1.088], [1.414, -2.082, 1.418], [-1.212, -0.749, -0.038], [0.530, 0.523, 1.406], [0.577, -2.166, -2.161], [0.905, 2.586, -1.533], [-2.598, -1.321, 1.647], [-0.568, 0.012, 2.126], [-2.983, -1.342, 3.043], [-3.432, -2.119, 0.761], [-1.510, -0.726, 1.170], [0.292, 1.688, 0.654], [0.221, -2.951, -2.985], [1.444, 2.494, -2.883], [0.399, 3.884, -1.116], [0.905, 1.532, -0.733], [-4.063, -1.221, 3.117], [-0.778, 1.887, 0.537], [-4.457, -1.749, 0.779], [-2.499, -0.546, 3.600], [0.326, 4.526, -1.988], [0.715, 2.891, -3.588], [1.072, 4.361, -0.399], [-0.592, 3.801, -0.671], [1.640, 1.454, -3.127], [-1.083, 0.806, 2.676], [2.371, 3.063, -2.962], [-0.134, -0.700, 2.829], [-3.040, -2.057, -0.248], [0.764, 2.535, 1.167], [-3.423, -3.161, 1.083], [-2.717, -2.300, 3.496]]}
____________

I guess I should go and see what Lucifer is doing as there is plenty of time left till Ava wakes up ....

And AaHaa, I will use my teleporting ability

Aaaaa HAAA Aaaa aAAAAAaaa

HaaaH, I am back at Lucifer's house. Let us see where he is ....

Lucifer , .... Lucifer , .... Where are you ?

Oh! there he is, how cute !!!.... he is feeding the cute angels. Yes, the cats he rescued ...

And yes, I want to tell you that the cats are now fully fit they are completely fine now ....

"Oh, my babies,.... you eat, and yes! don't trouble aunt Helem, okay ," Lucifer to his little two angels ....

Oh! how nice of Lady Helen. She is so sweet and kind ...

But does she co,e to Lucifer's house, or does Lucifer take the cats to her house .....

We will get to know that very soon .....

I really missed this house a lot. It feels like I have a connection with this house now .... and yes, my friend Lucifer, I was worried about you too .... I was doing your work..... And yes, i guess I succeeded ..

Aren't you going to say anything ...?

Oh! dang, I completely forgot that he is not able to hear me ...

So thank God, now I don't have to do this emotional drama .....

What did you guys think that I have grown an emotional connection... LoL, you were wrong ...

See, now do you agree that I can easily become an actor HaaaH ?

"Come on, my little angels, I will drop you two at Aunt Helen's house... Okay, and yes, be nice and do not irritate her ." Lucifer to her cats

Data records from another source follow:
Entry 1:
4 unconnected molecules or ions with the total composition C25H40F17IN4O6, computed with the ωB97M-V functional and the def2-TZVPD basis.

Output
structure (SMILES) = O=C(I)CN(CCC(F)(F)C(F)(F)C(F)(F)C(F)(F)C(F)(F)C(F)(F)C(F)(F)C(F)(F)F)C(=O)O.COC[C@@H](C)N.COC[C@@H](C)N.COC[C@@H](C)N
total charge = 0

Last column: Mulliken charge in e.
Atoms and positions in Å:
I -0.14056 0.83033 0.98505  0.063
F -5.02211 -5.42765 -1.28583  -0.279
F -1.57979 -6.20694 -3.08255  -0.234
F -0.72070 -8.84870 -2.15007  -0.272
F 2.34620 -6.99879 0.57807  -0.253
F -4.27573 -4.71238 -3.42787  -0.310
F -1.65002 -3.55187 -1.89184  -0.255
F 1.31769 -6.61077 -2.83031  -0.176
F -3.01047 -6.88356 0.27338  -0.242
F -3.63753 -8.62461 -1.21356  -0.292
F 1.54532 -9.17427 -0.17015  -0.251
F -0.28598 -7.30720 1.27559  -0.304
F -0.25040 -5.73352 -0.50850  -0.143
F -3.84094 -2.63757 -1.89084  -0.350
F -1.38229 -9.28966 0.09093  -0.297
F 2.50605 -8.73588 -2.63705  -0.232
F 3.42508 -6.73445 -1.71698  -0.243
F -3.67056 -7.27329 -3.32977  -0.304
O 1.62589 4.12402 2.37113  0.046
O 5.15963 3.07499 -0.19795  -0.377
O 0.41528 -2.60531 0.58134  -0.488
O -2.51985 1.13039 2.86861  -0.543
O -1.55286 3.41704 -1.99647  -0.126
O 0.47632 -3.47264 2.83861  -0.529
N 2.47979 2.17904 -0.72774  -0.507
N 3.48175 3.47644 4.46908  -0.773
N -3.78845 4.12566 -0.33365  -0.729
N -1.70693 -2.45457 1.98318  0.148
C 6.12865 2.67292 -1.15435  -0.671
C -1.67002 0.17299 2.40613  0.392
C 0.29467 4.36825 2.79956  -0.596
C -0.25817 -2.79806 1.71797  0.378
C 1.49217 -7.70999 -0.43865  0.320
C -1.19665 -8.16306 -0.90152  0.537
C -0.04668 -7.19097 -0.21350  0.611
C 3.01575 3.33603 -1.45867  0.397
C -3.02079 -3.73114 0.20649  -0.328
C -1.87298 -1.34366 2.99620  -0.445
C 2.11241 5.30374 5.32571  -1.417
C -3.02728 -3.83176 -1.44095  0.677
C -2.50251 -2.22508 0.71732  -0.669
C 3.10082 4.87809 4.24456  0.217
C -1.89336 2.88116 -3.26621  -0.861
C 4.18619 3.99855 -0.69532  -0.159
C -2.86447 -6.46853 -2.32910  0.663
C -1.90216 4.79395 -1.82320  -0.704
C -4.35514 4.88843 -2.57974  -1.447
C 2.57577 5.10152 2.80722  -0.451
C -3.37620 5.02788 -1.41817  0.330
C -3.76331 -5.13137 -2.06767  0.376
C -2.67667 -7.46835 -1.04436  0.484
C 3.38143 2.90316 -2.87497  -1.529
C 2.11783 -7.46217 -1.92528  0.683
H -1.91947 -1.69564 -0.14850  0.246
H -3.54595 3.17239 -0.62497  0.336
H 3.27384 1.57009 -0.50178  0.264
H 2.15223 2.49306 0.18659  0.260
H -5.32975 5.30727 -2.30584  0.365
H -3.45492 6.06059 -1.05256  0.412
H 2.68430 2.89726 4.18444  0.314
H -3.44350 -1.54986 0.98365  0.324
H -3.99916 5.43102 -3.46094  0.342
H 7.03443 2.37916 -0.61608  0.261
H 3.92049 3.69672 -3.40157  0.372
H -1.17267 -1.58883 3.91582  0.336
H 1.28675 4.59818 5.44428  0.288
H 4.66500 4.78389 -1.29242  0.490
H 4.21040 3.22447 3.80015  0.287
H -3.18608 4.28876 0.47410  0.253
H 1.39735 -3.73781 2.53873  0.381
H 3.77178 4.49267 0.19230  -0.257
H 0.12453 3.90371 3.77226  0.201
H 3.99807 5.49997 4.36529  0.457
H 3.99581 1.99999 -2.89498  0.289

Okay, so Lucifer takes the cats to Lady Helen's house for the day ....

Ohh! I completely forgot about Ava ....

It is her waking time, and I really need to see her reaction ...

Haah ! okay, so I am here ....

Ava is already awake, but she is still sitting in her bed ...

it seems that she is lost .... I guess it is my fault like because of the dream you know..... He He ....

"What was this dream ?" Ava to herself

"Such an uncanny dream it was ..." Ava talking to herself

"Aren't dreams made by our brains? If it is so, I dont think it was my brain because my brain won't ever be able to say those things ..."

Ava to herself

"Those words weren't ordinary words. Those were the words of wisdom.... pure wisdom and truth nothing else than that ..."

Yes, indeed, they were the words of wisdom, and they were mine ...

What!!, you guys don't believe me ...

Yes, you are right if you don't believe me ... These aren't my words ...

I read them in a book of Rumi ....

Well, why is it surprising that I have read books of Rumi or Buddha haah ?

What do you mean that I don't read books, haah ?

Well, you guys are absolutely right. I just read the books in Lucifer's house, like when he used to sleep, and I had nothing to do, so I just used to read the books ....

"His words have motivated me ..." Ava to herself

To confess your feelings, yessss ! MISSION SUCCESSFUL

"But i dont think that i should really confess so fast ..." Ava to herself


"Like yes, he gave all the answers to my questions, but he didn't tell me clearly if Lucifer also loved me or not ."

Ahhh!!! not again seriously. !!!!!!!!!!!!!!

"Lucifer ..... I feel incomplete without him .... Time just flies by when I am with him ..... I understand him better than I understand myself ,.... I feel the pain in his eyes, which he is hiding from the world .... I hear all the things he wants to say but can't, I understand all his feelings except the feedings which are about me ... I know him ver well ..... maybe not him .... but definitely his soul .... But I don't know myself,...

### Here the piece breaks off for data records
=====
2 unconnected molecules or ions with the total composition CHIOS2. Source: the OMol25 dataset; level of theory: the ωB97M-V functional and the def2-TZVPD basis.

Bonds (Å) are listed after each position.
Geometry (Å):
1 S -0.8722 1.0422 0.1510  S4 1.969, I5 2.554
2 C 2.7537 -1.0607 1.1311  O3 1.130
3 O 2.5548 0.0179 0.8575  C2 1.130
4 S -0.6905 0.3259 -1.6736  S1 1.969, H6 1.300
5 I -1.8175 -0.8930 1.5234  S1 2.554
6 H -1.9283 0.5678 -1.9893  S4 1.300

As for the orbital gap: 7.82 eV. The value obtained for the calculated total energy is -32871.460 eV. The largest force on an atom comes out at 1.9 eV/Å. Its spin multiplicity is 1. For the LUMO energy, the calculation gives -1.423 eV. Its energy above the lowest of the compared OMol25 structures with the same formula, charge and spin is 18.2 kJ/mol. The value obtained for the highest occupied orbital energy is -9.24 eV.
=====

I really hope that he knows me, my soul, and sees the pain in my eyes, I really hope that he hears all the things that are not spoken .....I just hope it is all about hope .... nothing but HOPE .. A slight Ray of HOPE..." Ava to herself ....

Wow, that was deep .....I am speechless..... See guys the effect of my words and my presence... LoL

"Whatever it is, I guess i will first build a strong friendship with him. After that, i will see what to do and what to not ..." Ava said to herself

Okay, that is alright also ....

"But who was the person in my dream ? was he even a human or not ?" Ava asked herself in the mirror...

Well, that was me ...

And I am NoT human.... wait ! what am I ?.... Who am I ?.

Stay tuned to find out what happens next ...

Also, please point out all the typos it will be appreciated highly.